Noted humorist and constitutional scholar Tom Lehman
penned an op-ed in the YDN bashing
my proposal for a right-to-privacy amendment to the Constitution. I think it would be helpful, in order to frame the debate, to refer to something I wrote in
my column on Kelo v. New London, which was a response to Lehman's earlier piece on the same subject. To wit:
What is ultimately at stake in Lehman's apologetics for the Kelo ruling is the notion that the protection of individual rights against legislative- and executive-branch abuses is the responsibility of the judiciary in the first place.
Just to excise the context-dependent rhetoric, this is really what the dispute between Lehman and myself is about: whether or not the responsibilities of the judiciary include protecting individual rights against legislative and executive branch infringements. Lehman translates the problem into one of process- versus outcome-oriented jurisprudence, and if you're not interested in reading all the way through, I'll just say for now that the dichotomy is a false (and bizarre) one.
But before I can address what I've identified, and what I think Lehman would agree given his theoretical translation, is the central dispute, there are a number of points I have to make about his piece and its interpretation of mine.
What I'm getting at is this: There's a principle of charity involved in legal, philosophical and journalistic commentary, which is not a principle of courtesy---commentators can be as unconciliatory as they like---but rather a principle of, among other things, not deliberately distorting the arguments of one's opponents in order to score points, nor attributing views to them whose converses they explicitly endorse.
Item: Lehman begins his piece this way:
Amend the Constitution to include a right to privacy, Daniel Koffler argues ("Right to privacy should be enumerated," 11/9), and abortion rights for American women will be unequivocally guaranteed. His argument is flawed: A privacy amendment would not guarantee a right to abortion.
Did I argue that a RTP amendment would "unequivocally guarantee" a right to abortion? I did not. In fact, I wrote, "a court might find [banning late-term abortions] to be commensurate with the [privacy] holding in Roe," since there would be
nothing unreasonable in finding that a fetus of a certain age was indeed a rights-bearing entity.
The argument of my column, which Lehman distorts beyond recognition, is not that the Constitution should be amended to include a right to privacy in order to protect abortion rights---and yes, that would be a crude outcomes-based proposal, but it is not one I made---but that a RTP amendment is a good idea in general, and it just so happens that the right to privacy needs defending when one of the major lines of attack against Roe is one that goes directly to the RTP finding in Griswold. Lehman's reading is either dishonest or incompetent. I report, you decide.
Moving along. Item: Lehman continues:
Koffler argues that if one grants that a fetus is not a person and the Constitution guarantees a right to privacy "It follows...that state regulation of a part of a person's body that itself bears no rights is an unconstitutional violation of privacy." Unfortunately for Koffler, this reasoning is unsound. His argument is missing a needed premise -- something like "the state may only force a person to refrain from an activity when the activity implicates the life or constitutional rights of another person."
Now, for a philosopher, the charge that one's reasoning is unsound is a very serious one. (As it turns out, the word Lehman is looking for is not "unsound," but "invalid." His claim is that my conclusion doesn't follow from my premises, not that the premises are false. An invalid argument is also unsound, but that's a supererogatory point.) Ditto for the claim that I'm missing a premise.
Unfortunately for Lehman, he managed to misread, then misleadingly attenuate the passage that contained my alleged unsound reasoning. The ellipsis hides the crucial text. What I actually wrote was:
It follows from the conjunction of these points that state regulation of a part of a person's body that itself bears no rights is an unconstitutional violation of privacy. In other words, the Constitution guarantees a woman's right to terminate her pregnancy. [emphasis added]
Which points was I referring to? These:
first, the domain of individual autonomy established in Griswold includes one's own body; second, a fetus is not a legal person.
In other words, Lehman simply substituted for my actual first premise one of his own devising. I did not claim that the existence simpliciter of a constitutional RTP + acknowledgement of the non-personhood of a fetus yields a constitutional right to abortion. I claimed, paraphrasing Roe, that the finding that a woman's personal medical decisions do indeed fall within the sphere of conduct, protected by the right-to-privacy established in Griswold, into which the government
may not intervene.
Now, Lehman is entitled to ask why is it that a woman's personal medical decisions fall within that sphere. But in so asking, he is questioning the soundness not of the argument I made, but of an argument whose conclusion is point 2 in the following argument: given 1) a constitutional RTP, 2) the finding that decisions concerning personal reproductive health are protected by RTP, and 3) a fetus is not a legal person, it does indeed follow that statutory restrictions on abortions are violations of constitutional rights.
Since the first and third premises are basically uncontroversial---we're just stipulating that there is a constitutional RTP, which is what an amendment would do, and Lehman concedes that precissifications of personhood under which (early-term)fetuses are persons is implausible---it's the truth of the the second premise that's at issue.
Where Lehman suggests I'm missing a premise, what he's getting at is that I haven't argued for the second premise. And he's correct about that; I did not present an argument for the second premise, since it is simply part of the ruling in Roe, and I wanted to make the point that the conclusion of Roe is correct as long as its premises are true. In other words, I was establishing precisely those premises as the grounds for argument over privacy rights, and stating that while I believe those premises are true, I admit that reasonable people may disagree---which is why I argue for a RTP amendment. What Lehman is not entitled to say, on pain of demonstrating an ignorance of what it is for an argument to be valid or sound, is that I'm missing a premise. The argument is valid because the conclusions follow from the premises. The argument is sound just in case the premises are true.
So, are they true? Lehman claims, in effect, that (2) might be true given some other premise. He suggests, let's call it (2*):
the state may only force a person to refrain from an activity when the activity implicates the life or constitutional rights of another person.
And having imagined this to be my premise, he goes on to attack it. But what is required for the finding that the Griswold ruling on privacy extends to decisions like that of a woman to terminate her pregnancy is nothing like what Lehman suggests. All that is required is a little bit of deduction.
In Griswold, the Supreme Court found that an extant constitutional RTP extended to married
couples (in which, obviously, both members are rights-bearing persons) making decisions about their private reproductive behavior. As Lehman ought to know, and perhaps does, whenever a true claim entails or contains a logically weaker claim, the logically weaker claim is also true. In Roe, the question was whether RTP extends to a woman seeking to obtain an abortion. Since, in such instances, there is only one decision-making, rights-bearing person, and since RTP has already been found to extend to couples,
obviously RTP extends to the individual woman and her private reproductive behavior. The question, as always, goes back to Griswold.
What Lehman's (2*) is, in fact, is a principle the Griswold court could have utilized to make their finding about the nature of RTP, but it is not the principle they actually used.
Someone pasted records of crystals at this point:
/*
This entry pairs a crystal structure of CaBiSbO5 with its calculated powder XRD pattern. Radiation: Cu Kα. Structure: a cell relaxed with GGA-PBE.

Main lines, in order of falling intensity (2θ = 10–90°):
- 2θ 26.58, d = 3.353 Å, I = 1000
- 2θ 15.83, d = 5.599 Å, I = 978
- 2θ 23.58, d = 3.773 Å, I = 859
- 2θ 31.50, d = 2.840 Å, I = 417
- 2θ 40.29, d = 2.238 Å, I = 352
- 2θ 33.48, d = 2.677 Å, I = 322
- 2θ 30.98, d = 2.887 Å, I = 315
- 2θ 23.20, d = 3.835 Å, I = 296
- 2θ 38.54, d = 2.336 Å, I = 287
- 2θ 29.28, d = 3.050 Å, I = 264

```
CaBiSbO5
1.0
5.943 0.000 0.000
0.000 12.202 0.000
-2.876 0.000 8.078
Ca Bi Sb O
4 4 4 20
direct
0.051 0.086 0.183
0.051 0.414 0.683
0.949 0.586 0.317
0.949 0.914 0.817
0.467 0.093 0.843
0.467 0.407 0.343
0.533 0.593 0.657
0.533 0.907 0.157
0.338 0.644 0.032
0.338 0.856 0.532
0.662 0.144 0.468
0.662 0.356 0.968
0.198 0.712 0.498
0.198 0.788 0.998
0.230 0.555 0.176
0.230 0.945 0.676
0.273 0.024 0.013
0.273 0.476 0.513
0.283 0.569 0.827
0.283 0.931 0.327
0.340 0.189 0.368
0.340 0.311 0.868
0.660 0.689 0.132
0.660 0.811 0.632
0.717 0.069 0.673
0.717 0.431 0.173
0.727 0.524 0.487
0.727 0.976 0.987
0.770 0.055 0.324
0.770 0.445 0.824
0.802 0.212 0.002
0.802 0.288 0.502
```

This entry pairs a crystal structure of Ca2BiSbO6 with its calculated powder XRD pattern. Radiation: Cu Kα. Structure: a cell relaxed with GGA-PBE.

Main lines, in order of falling intensity (2θ = 10–90°):
- 2θ 29.77, d = 3.002 Å, I = 1000
- 2θ 20.93, d = 4.245 Å, I = 625
- 2θ 52.83, d = 1.733 Å, I = 404
- 2θ 42.60, d = 2.122 Å, I = 331
- 2θ 47.92, d = 1.898 Å, I = 285
- 2θ 85.61, d = 1.134 Å, I = 218
- 2θ 61.82, d = 1.501 Å, I = 202
- 2θ 70.10, d = 1.342 Å, I = 181
- 2θ 66.03, d = 1.415 Å, I = 137
- 2θ 18.10, d = 4.902 Å, I = 75

```
Ca2BiSbO6
1.0
0.000 4.245 4.245
4.245 0.000 4.245
4.245 4.245 0.000
Ca Bi Sb O
2 1 1 6
direct
0.250 0.250 0.250
0.750 0.750 0.750
0.000 0.000 0.000
0.500 0.500 0.500
0.266 0.266 0.734
0.266 0.734 0.266
0.266 0.734 0.734
0.734 0.266 0.266
0.734 0.266 0.734
0.734 0.734 0.266
```

This entry pairs a crystal structure of Ca2BiSbO6 with its calculated powder XRD pattern. Radiation: Cu Kα. Structure: a cell relaxed with GGA-PBE.

Main lines, in order of falling intensity (2θ = 10–90°):
- 2θ 30.15, d = 2.964 Å, I = 1000
- 2θ 30.62, d = 2.919 Å, I = 639
- 2θ 21.52, d = 4.129 Å, I = 578
- 2θ 54.14, d = 1.694 Å, I = 494
- 2θ 20.86, d = 4.259 Å, I = 359
- 2θ 43.86, d = 2.064 Å, I = 279
- 2θ 53.24, d = 1.720 Å, I = 262
- 2θ 42.45, d = 2.130 Å, I = 191
- 2θ 62.68, d = 1.482 Å, I = 184
- 2θ 49.36, d = 1.846 Å, I = 183

```
Ca2BiSbO6
1.0
5.839 0.000 0.000
0.000 5.839 0.000
0.000 0.000 8.518
Ca Bi Sb O
4 2 2 12
direct
0.000 0.500 0.250
0.000 0.500 0.750
0.500 0.000 0.250
0.500 0.000 0.750
0.000 0.000 0.000
0.500 0.500 0.500
0.000 0.000 0.500
0.500 0.500 0.000
0.000 0.000 0.265
0.000 0.000 0.735
0.141 0.315 0.500
0.185 0.359 0.000
0.315 0.859 0.500
0.359 0.815 0.000
0.500 0.500 0.235
0.500 0.500 0.765
0.641 0.185 0.000
0.685 0.141 0.500
*/
Lehman continues, as I said, by attacking a premise he invented and attributed to me. Item:
Need the state justify its every infringement on liberty by pointing to a potential murder the infringement would prevent? The answer is obviously no. For example, the Constitution guarantees me the right to political protest, and cats certainly aren't people (nor do they possess constitutional rights), but the state can unquestionably prohibit me from setting my cat aflame in protest of a tariff on cat food. If this doesn't do it for you, substitute "post office" for cat.
**Someone pasted records of crystals at this point:**
# CrBi2PdO6
Computed X-ray powder pattern, a wavelength of 1.5418 Å. Input: DFT lattice parameters and positions (PBE+U).
Peak positions follow from Bragg's law for the DFT cell and can differ from measured ones.

Largest 12 diffraction maxima, in order of rising 2θ, 5° ≤ 2θ ≤ 70°:
18.0°, d = 4.937 Å, I 54, (0 0 1)
28.7°, d = 3.115 Å, I 100, (1 1 0)
29.4°, d = 3.043 Å, I 89, (1 -1 1)
31.3°, d = 2.858 Å, I 92, (-1 1 1)
32.5°, d = 2.753 Å, I 79, (1 1 -2)
33.4°, d = 2.682 Å, I 63, (0 2 -1)
36.2°, d = 2.483 Å, I 49, (2 0 -1)
36.4°, d = 2.468 Å, I 50, (0 0 2)
48.4°, d = 1.879 Å, I 30, (2 0 1)
50.5°, d = 1.809 Å, I 30, (2 2 -2)
57.6°, d = 1.599 Å, I 28, (1 -3 0)
59.0°, d = 1.565 Å, I 29, (3 1 -1)

Structure:
```
data_CrBi2PdO6
_cell_length_a 5.010
_cell_length_b 5.371
_cell_length_c 5.804
_cell_angle_alpha 114.78
_cell_angle_beta 108.31
_cell_angle_gamma 90.50
_space_group_name_H-M_alt 'P -1'
_space_group_IT_number 2
_space_group_name_Hall '-P 1'
loop_
_atom_site_label
_atom_site_fract_x
_atom_site_fract_y
_atom_site_fract_z
Cr1 0.000 0.000 0.000
Bi1 0.231 0.763 0.485
Pd1 0.500 0.500 0.000
O1 0.179 0.665 0.829
O2 0.198 0.160 0.827
O3 0.298 0.132 0.358
```

----------

Simulated powder X-ray diffraction pattern of MnH2SO5 for λ = 1.5418 Å (Cu Kα), from a DFT-relaxed cell (PBE+U, Alexandria).
Kinematic intensities with the Lorentz-polarization factor, no thermal factor.

Cell and atoms:
**The records of crystals stop here:**
I confess to having scant idea of what Lehman is talking about, aside from ascribing to me the view that a constitutional RTP immunizes someone from prosecution for burning down post offices in protest. If a court were convinced that all blastocysts/embryos/fetuses/etc. in any pre-birth stage of development were legal persons, then a statute banning all abortions would pass constitutional muster because all it would consist of is a reiteration of statutes outlawing murder. Privacy rights do not cover murder. Nor do they cover arson, nor abusing animals. What would be essential to any language of a RTP amendment is some iteration of the harm principle. Again, I don't see why this is confusing.
Skipping the paragraph in which Lehman most concisely states his mistaken interpretation of my general argument, which I described above and which anyone is free to assess by following the links to the two pieces, Lehman finally comes to the meaty part of his own argument. And it's a real beauty:
Judges could protect privacy from frivolous regulation, but states never infringe upon privacy without purpose. Any legislative decision to intrude on privacy inevitably involves a choice of evils. Such an intrusion entails the infliction of suffering for reasons whose sufficiency may be open to question -- not the infliction of suffering that can be fairly labeled needless. [emphasis added]
The italicized text bears repeating: "states never infringe upon privacy without purpose." Depending on the definition of "purpose" this is either tautological or demonstrably false (and easily so). If infringing with "purpose" simply means infringing on any grounds whatsoever, then every state infringement on privacy is purposeful.
== Inserted here: materials data ==
/*
For PuNiPt, the PBE geometry in Alexandria gives the computed powder diffractogram in this record (λ = 1.5418 Å (Cu Kα)).
Intensities are scaled so that the largest is 100.

Structure:
```
data_PuNiPt
_chemical_formula_sum 'Pu4 Ni4 Pt4'
_cell_length_a 5.1880
_cell_length_b 5.4312
_cell_length_c 7.3679
_cell_angle_alpha 90.00
_cell_angle_beta 90.00
_cell_angle_gamma 90.00
_space_group_name_H-M_alt 'I m m a'
_space_group_IT_number 74
_space_group_name_Hall '-I 2b 2'
loop_
_atom_site_label
_atom_site_fract_x
_atom_site_fract_y
_atom_site_fract_z
_atom_site_occupancy
Pu1 0.0000 0.2500 0.1225 1
Ni1 0.2500 0.2500 0.7500 1
Pt1 0.0000 0.0000 0.5000 1
```

Most intense lines, 15° ≤ 2θ ≤ 90°, by angle:
| h k l | two_theta | d [Å] | intensity |
| --- | --- | --- | --- |
| 1 1 2 | 34.1 | 2.629 | 62.2 |
| 2 0 0 | 34.6 | 2.594 | 35.5 |
| 1 2 1 | 39.4 | 2.287 | 100.0 |
| 2 1 1 | 40.4 | 2.231 | 37.4 |
| 1 0 3 | 40.6 | 2.220 | 43.3 |
| 2 2 4 | 71.8 | 1.314 | 32.2 |

---

For PuNi8Pt3, the PBE geometry in Alexandria gives the computed powder diffractogram in this record (λ = 1.5418 Å (Cu Kα)).
Intensities are scaled so that the largest is 100.

Structure:
```
data_PuNi8Pt3
_chemical_formula_sum 'Pu1 Ni8 Pt3'
_cell_length_a 4.8288
_cell_length_b 4.8288
_cell_length_c 7.8012
_cell_angle_alpha 90.00
_cell_angle_beta 90.00
_cell_angle_gamma 120.00
_space_group_name_H-M_alt 'P 3 m 1'
_space_group_IT_number 156
_space_group_name_Hall 'P 3 -2"'
loop_
_atom_site_label
_atom_site_fract_x
_atom_site_fract_y
_atom_site_fract_z
_atom_site_occupancy
Pu1 0.0000 0.0000 0.0000 1
Ni1 0.1649 0.3298 0.6784 1
Ni2 0.3333 0.6667 0.4323 1
Ni3 0.3333 0.6667 0.9317 1
Ni4 0.5029 0.0058 0.1905 1
Pt1 0.0000 0.0000 0.3783 1
Pt2 0.6667 0.3333 0.4966 1
Pt3 0.6667 0.3333 0.8628 1
```

Most intense lines, 15° ≤ 2θ ≤ 90°, by angle:
| h k l | two_theta | d [Å] | intensity |
| --- | --- | --- | --- |
| 1 1 0 | 37.2 | 2.414 | 71.7 |
| 1 0 3 | 40.9 | 2.208 | 100.0 |
| 1 1 2 | 44.1 | 2.053 | 91.6 |
| 2 0 1 | 44.9 | 2.020 | 48.3 |
| 2 1 3 | 69.6 | 1.351 | 40.6 |
| 0 2 5 | 76.1 | 1.250 | 24.6 |

---

For PuNiPt4, the PBE geometry in Alexandria gives the computed powder diffractogram in this record (λ = 1.5418 Å (Cu Kα)).
Intensities are scaled so that the largest is 100.

Structure:
```
data_PuNiPt4
_chemical_formula_sum 'Pu2 Ni2 Pt8'
_cell_length_a 7.5026
_cell_length_b 4.0339
_cell_length_c 6.7510
_cell_angle_alpha 90.00
_cell_angle_beta 90.00
_cell_angle_gamma 90.00
_space_group_name_H-M_alt 'P m m a'
_space_group_IT_number 51
_space_group_name_Hall '-P 2a 2a'
loop_
*/
Of course, any time a legislature passes a law, it will adduce some reason for doing so.
Pace Lehman, that hardly entails that "[a]ny legislative decision to intrude on privacy inevitably involves a choice of evils." To borrow the language Lehman uses later, it is only true that every legislative infringement on privacy is non-frivolous if it's part of the definition of legislative action to be non-frivolous. During a lecture on Descartes in early 2003, Michael Della Rocca notoriously suggested that people who make circular arguments be taken outside and shot. I wouldn't go quite that far, but I would suggest that they tone down the smugness just a bit.
Or perhaps Lehman thinks purposefulness and/or non-frivolity have a more robust meaning than being simple conceptual appendages of legislative action. Fine. The fact that a legislature decides to pass a law that infringes on privacy is no indication of any kind that the infringement is justified. (Want an example of unjustified infringement? How about
this one, from today, in which a woman was jailed for 90 days and put on a year's work release, without having violated any laws.) Legislatures enact unjustified infringements on any number of rights all the time, both contemporaneously and historically. And that phrase, "unjustified infringements," is key. Whether deciding if the Online Decency Act violates freedom of speech, or the Intelligence Identities Protection Act violates freedom of the press, or school segregation violates the equal protection requirement, or various gun control laws violate gun ownership rights, the judiciary makes determinations of whether or not particular infringements on rights are justified; and it is the responsibility of the judiciary, as the branch of government that interprets law, to determine what the limits on rights are. Moreover, it does so all the time, with respect to any number of constitutional rights. Why such interpretation of a constitutional RTP would somehow be disconsonant with judicial interpretation of the other rights is beyond my capacity to say; perhaps Lehman can inform us.
Indeed, it is incumbent upon him to state what it is that distinguishes a constitutional RTP from any other constitutional right. Otherwise, constructions like this
Assuming that unelected, unaccountable judges are better suited than legislatures to discern the correct balance between social welfare and personal privacy flies in the face of our democratic values
can be restated for every single constitutional right. Should "unelected, unaccountable" judges, or
accountable legislatures discern the correct balance between social welfare and freedom of speech? between social welfare and freedom of association? between social welfare and freedom of the press? get the idea.
Lehman does, to his credit, acknowledge the difficulties that could arise in curtailing the scope of judicial review:
Where in my seemingly blind faith in the democratic process is there room for judicial review at all?
There is no room, it turns out, for overturning legislation on the grounds that it violates constitutional rights. The only room remaining for judicial review is:
to step in when our representatives are attempting to subvert the ballot box as a check on undesirable legislation...for safeguarding the political process.
Let's begin a taxonomy of the major Supreme Court cases that were wrongly decided if Lehman's view of the scope of judicial review is correct.
- Marbury v. Madison inasmuch as it held that "Congress can not pass laws that are contrary to the Constitution" and reserved for the court the power to determine that laws were indeed contrary to the Constitution.
- Lochner v. New York, which ruled a law limiting working hours unconstitutional because of a "right to contract" entailed by the 14th Amendment
- Griswold v. Connecticut; nothing about the Connecticut law suggested a violation of process---the law was passed by properly democratically elected legislators in a manner that conformed to the established rules by which laws are passed; nevertheless the Supreme Court ruled the law a violation of constitutional rights
- Roe v. Wade, for precisely the same reason. Note that Lehman claims in his piece that the Supreme Court was correct to rule that "no possible good that could come from anti-abortion legislation could justify infringing upon the life plans of the mother," and that such a finding emerged from "balancing two legitimate costs." If Lehman's later contention about the scope of judicial review is correct, then by the lights of his own argument, his support for Roe is absurd.
- Brown v. Board of Education; the Topeka Board of Ed. was legitimately empaneled, and broke no processual rules in enforcing segregation. Nevertheless, the Supreme Court ruled the segregation of schools to be an equal protection violation explicitly because "separate but equal" was a fantasy. Again, if Lehman is correct, the Supreme Court had no business whatsoever coming to that determination; it is the legislature, and the legislature alone, that should be deciding what constitutes equal protection.
- Likewise, every single currently-governing civil rights case in the nation's history, whereas Plessy v. Ferguson and (Dred) Scott v. Sanford were correctly decided if Lehman is correct about the role of the judiciary.
And to return to the theoretical, if it is true that judicial review applies only to process, the judiciary could not legitimately overturn any law, regardless of its suspect constitutionality, as long as it was enacted according to the correct process. Since Lehman concludes his piece by comparing my proposal for a constitutional RTP to slavery (or perhaps to overturning slavery, in which case he doesn't believe the constitution should have been amended to ban slavery), I don't think it would be impolitic to point out that under his restrictions on judicial review, the Supreme Court could not overturn a redux of the Nuremburg laws, provided that Congress did not violate processual rules in passing them.
This outcome cries out for a Mooreian response. (That's G.E., not Michael Moore.) As Moore would put it, if the consequence of an argument is, e.g., that Brown v. Board of Ed. was wrongly decided, there is something damnedly wrong with the argument. And it's this: the dichotomy Lehman proposes between courts protecting "processes" versus "outcomes" is bollocks. When a court rules that legislation violates a constitutional provision, it does so (mostly) without regard to the consequences of overturning that law. Any number of proposed laws that would result in beneficial outcomes for society would be subject to reversal by the courts just in case they violated the Constitution. (For example, many people think that our country would be a lot better off if there were no private gun ownership. Some of those people have undoubtedly sat on the Supreme Court. But the Supreme Court could only countenance a law banning all private gun ownership if it were to ignore the explicit text of the 2nd Amendment).
The operative principle is not that the judiciary should rule in favor of outcomes it feels would have the highest utility, nor indeed that the court should make "substantive
moral decisions," but that the judiciary has a responsibility to determine whether and how legislative action violates the Constitution. Lehman's argument---that the only body legitimately able to determine whether a legislature's decisions pass constitutional muster is the legislature itself---is an argument against either checked or balanced government.